Premier Credit’s Ex-Employee Samuel Maigua Wins Big Against Lender In Labour Court

By The Weekly Vision Team

A former employee of Premier Credit who was unfairly dismissed from employment has finally received justice after 12 years. The Employment and Labour Relations Court delivered judgment on June 30, 2016, in a case in which Samuel Mwenda Maigua had sued the lender.

In a ruling delivered by Judge James Rika, the court decided that Mr Maigua had indeed worked for 1 year and 2 months after being confirmed as a permanent and pensionable employee on October 1, 2015. The judge found that Maigua did not cause, or contribute to, the circumstances leading to his termination and was not paid anything on termination.

The judgment reads in part, “The Respondent shall pay to the Claimant notice at Ksh. 42,426; 35 days’ salary at Ksh. 50,584; and compensation for unfair termination at Ksh. 212,130—totals Ksh. 305,140.” The court learned that Maigua was employed by Premier Credit as a Loans Officer on January 13, 2015, on a monthly salary of Ksh. 40,000. He was confirmed after probation, effective October 13th, 2015, and enrolled in the Premier Credit Staff Scheme from October 1st, 2015. His monthly salary was raised to Kshs. 42,426.

He received a letter dated March 23, 2016, terminating his contract of employment. The management alleged that he was absent from work, did not meet monthly targets, and lacked proper relationships with other staff. However, Maigua, in his submissions dated August 8, 2023, states that the reasons stated in the letter of termination justifying the decision were not supported by any evidence. There were no documents to support any of the grounds. There was no letter to show cause issued to him, and there was no letter asking him to explain his 5 days of absence, thus he was not given a fair hearing, in accordance with Section 41 of the Employment Act, 2007.

In a quick rejoinder, Premier Credit claimed that poor performance was tied to failure to meet monthly targets and that he did not meet monthly targets because he harassed other staff while he had a duty to protect other staff. Further, it was alleged that his conduct irreparably damaged his relationship with his colleagues.

The judge noted that “allegations about poor performance came fast on the heels of the letter dated December 14, 2015. The letter states that the claimant’s performance in the year 2015 was commendable. He was dedicated to the respondent’s core values. His commitment to his tasks greatly contributed to the evolution of the respondent’s brand.” The judgment reads in part, “The Court is not satisfied that termination was based on valid reasons, under Sections 43 and 45 of the Employment Act.”

[Unrelated to this piece: records of crystals]
Entry from the Materials Project database: a relaxed SrC crystal (PBE-GGA).

abc: 5.679 5.679 5.679
angles: 90.00 90.00 90.00
Positions (direct):
Sr (0.000, 0.000, 0.000)
Sr (0.000, 0.500, 0.500)
Sr (0.500, 0.000, 0.500)
Sr (0.500, 0.500, 0.000)
C (0.000, 0.000, 0.500)
C (0.000, 0.500, 0.000)
C (0.500, 0.000, 0.000)
C (0.500, 0.500, 0.500)

Values from the calculation:
Calculated formation energy in meV per atom: 1270
Volume in Å³ per cell: 183.1
Total magnetization in μB/f.u.: 2.00
Crystal system: cubic

---

Entry from the Materials Project database: a relaxed Lu6Ga21Co7 crystal (PBE-GGA).

abc: 16.512 16.512 4.106
angles: 90.00 90.00 90.00
Positions (direct):
Lu (0.086, 0.157, 0.000)
Lu (0.108, 0.608, 0.500)
Lu (0.157, 0.914, 0.000)
Lu (0.343, 0.414, 0.000)
Lu (0.392, 0.108, 0.500)
Lu (0.414, 0.657, 0.000)
Lu (0.586, 0.343, 0.000)
Lu (0.608, 0.892, 0.500)
Lu (0.657, 0.586, 0.000)
Lu (0.843, 0.086, 0.000)
Lu (0.892, 0.392, 0.500)
Lu (0.914, 0.843, 0.000)
Ga (0.000, 0.500, 0.000)
Ga (0.033, 0.888, 0.500)
Ga (0.044, 0.271, 0.500)
Ga (0.074, 0.426, 0.500)
Ga (0.075, 0.743, 0.000)
Ga (0.112, 0.033, 0.500)
Ga (0.179, 0.321, 0.000)
Ga (0.180, 0.792, 0.500)
Ga (0.208, 0.180, 0.500)
Ga (0.229, 0.456, 0.500)
Ga (0.243, 0.575, 0.000)
Ga (0.257, 0.075, 0.000)
Ga (0.271, 0.956, 0.500)
Ga (0.292, 0.680, 0.500)
Ga (0.320, 0.292, 0.500)
Ga (0.321, 0.821, 0.000)
Ga (0.388, 0.533, 0.500)
Ga (0.425, 0.243, 0.000)
Ga (0.426, 0.926, 0.500)
Ga (0.456, 0.771, 0.500)
Ga (0.467, 0.388, 0.500)
Ga (0.500, 0.000, 0.000)
Ga (0.533, 0.612, 0.500)
Ga (0.544, 0.229, 0.500)
Ga (0.574, 0.074, 0.500)
Ga (0.575, 0.757, 0.000)
Ga (0.612, 0.467, 0.500)
Ga (0.679, 0.179, 0.000)
Ga (0.680, 0.708, 0.500)
Ga (0.708, 0.320, 0.500)
Ga (0.729, 0.044, 0.500)
Ga (0.743, 0.925, 0.000)
Ga (0.757, 0.425, 0.000)
Ga (0.771, 0.544, 0.500)
Ga (0.792, 0.820, 0.500)
Ga (0.820, 0.208, 0.500)
Ga (0.821, 0.679, 0.000)
Ga (0.888, 0.967, 0.500)
Ga (0.925, 0.257, 0.000)
Ga (0.926, 0.574, 0.500)
Ga (0.956, 0.729, 0.500)
Ga (0.967, 0.112, 0.500)
Co (0.000, 0.000, 0.000)
Co (0.035, 0.351, 0.000)
Co (0.149, 0.465, 0.000)
Co (0.219, 0.719, 0.000)
Co (0.281, 0.219, 0.000)
Co (0.351, 0.965, 0.000)
Co (0.465, 0.851, 0.000)
Co (0.500, 0.500, 0.000)
Co (0.535, 0.149, 0.000)
Co (0.649, 0.035, 0.000)
Co (0.719, 0.781, 0.000)
Co (0.781, 0.281, 0.000)
Co (0.851, 0.535, 0.000)
Co (0.965, 0.649, 0.000)

Values from the calculation:
Calculated formation energy in meV per atom: -464

The judge further found that Premier Credit did not present any allegations to him through a letter to show cause. He was not asked to explain the allegations through a letter to show cause or a disciplinary hearing convened subsequently. He was just issued an abrupt letter of termination, dated March 23, 2016. He was simply told that ‘’we wish to inform you that your services have been terminated with effect from March 23, 2016.’’ This was the worst form of termination-at-will, with no notice and no cause.

This is not the only complaint of unfair treatment of employees by Premier Credit. A keen look at the reviews posted by both clients and staff of Premier Credit, as captured by the “Glasdoor reviews,” shows that the majority of employees are dissatisfied with the way they are being handled.

Below is a sample of some of the comments made by the disgruntled employees and customers.

On October 2, 2023, an intern wrote, “Lack of interest in the welfare of employees,” while another disgruntled employee commented, “poor management, especially at the call center.”

On May 29, 2023, a sales assistant reported “tiresome, long-distance, fiery sales. Lack of bus fare,” while an administrative assistant reported that “leave days were not put into consideration.

A sales and development employee commented, “Low payment and stressful boss.”